The Importance of Data Governance and Data Quality for Digital Transformation
What comes next are molecular data, not part of the page
<<<
27
Properties=species:S:1:pos:R:3:forces:R:3:lowdin_charge:R:1 method="wB97M-V/def2-TZVPD" mol_weight_g_mol=237.15 lumo_ev=6.0 relative_energy_ev=0.947 charge=-2 total_energy_ha=-1121.48635 spin_multiplicity=1 orbital_gap_ev=7.37
C 0.551568 0.284733 -2.888388 -0.7822 0.3345 2.0498 -0.438
C 0.107725 -0.532058 0.850507 -1.4023 -1.7151 -0.9280 -0.722
C -1.428517 0.919667 -0.676085 -1.9808 0.1901 1.7139 -0.046
C -1.111521 -1.569760 -1.041993 2.4016 -0.8802 -3.5415 -0.058
C -0.721584 -1.159633 2.969804 0.5987 -3.1611 -0.7985 -0.188
C 2.089114 0.912684 -0.530603 -1.9286 -0.6200 -2.5920 0.044
C -0.551643 -0.273051 -0.607210 1.7359 0.4557 -0.4947 -0.497
N 0.561523 0.098874 -1.556407 4.3776 1.3581 2.0121 0.075
O 2.502665 1.988100 1.926613 0.6221 -0.1538 0.1124 -0.375
O 0.543598 2.996867 0.611810 0.3123 0.0881 -0.3121 -0.385
O 1.323313 0.837534 -3.680865 0.4740 -0.3296 0.4760 -0.089
O 0.981355 -1.439490 0.898662 0.6174 0.0979 -0.2720 -0.089
O 0.362605 0.673764 1.477783 0.5620 1.1801 0.4812 -0.164
O -1.179300 -0.973463 1.662528 0.2675 0.5075 0.1179 -0.158
P 1.383235 1.812292 0.969083 -0.1819 0.1983 -0.6890 0.230
H -0.411439 -0.065563 -3.226601 -0.7780 -0.4579 -0.8555 0.086
H -1.006829 1.669367 0.054739 -0.4535 0.0247 -1.8466 0.076
H -1.578621 1.085537 -1.748155 0.0479 1.0540 0.3835 0.072
H -2.439096 0.703580 -0.256357 0.4066 -0.1648 -0.1447 0.082
H -1.338856 -1.532852 -2.238475 0.2810 -0.3861 2.8355 0.107
H -1.945638 -1.792721 -0.472226 -1.7308 -0.7256 0.9212 0.037
H -0.218387 -2.257297 -0.807970 -1.6155 0.3823 -0.5966 0.109
H -0.308758 -0.311056 3.412828 0.5163 1.6730 0.7589 0.050
H 0.094290 -1.957795 2.972952 -0.5316 0.9088 -0.0774 0.090
H -1.461875 -1.615601 3.610828 -0.8982 0.1550 0.1418 0.052
H 2.731934 0.074888 -0.225647 -0.6317 0.0861 -0.2455 0.046
H 2.469140 1.422454 -1.461155 -0.3058 -0.1002 1.3900 0.053

=====

15
Properties=species:S:1:pos:R:3:forces:R:3:lowdin_charge:R:1 method="wB97M-V/def2-TZVPD" mol_weight_g_mol=164.07 lumo_ev=0.3 relative_energy_ev=0.000 total_energy_ha=-681.47689 spin_multiplicity=1 orbital_gap_ev=8.21
C 0.174656 -3.746917 -1.070039 0.6138 0.1969 1.1206 -0.444
C -0.121810 -2.829411 2.971189 2.7138 -0.9106 -0.2442 -0.021
C 0.719989 0.315162 -0.454909 0.2053 0.9371 2.8100 -0.356
C -0.401783 0.162329 0.269899 1.2107 0.0773 -1.3360 -0.380
O 0.466679 -3.177774 -0.123201 0.2732 1.2926 1.5242 0.205
O -1.161727 -2.476558 3.081433 -2.7142 0.9009 0.2731 0.046
O -0.055829 -4.379858 -1.980681 -0.8924 -1.4786 -2.6733 0.236
O 0.790804 0.179811 -1.817612 1.8209 -0.3456 1.1376 0.066
O 1.933300 0.727824 0.200181 -2.4890 0.5915 -0.1344 0.019
O -1.532134 -0.152652 -0.401729 -1.7192 0.1356 2.3287 0.101
O -0.460156 0.282864 1.638409 1.6340 -0.8203 -1.3259 0.084
H 1.770318 0.019260 -1.836110 -0.9851 0.0750 -1.1041 0.139
H 1.530900 1.354329 0.871500 1.2601 -0.9430 -0.8028 0.126
H -1.341052 -0.380137 -1.285378 0.5293 -0.3425 -1.6455 0.080
H -1.260705 0.653561 1.952347 -1.4611 0.6337 0.0721 0.098

=====

95
>>>

More and more companies are becoming aware of the positive impact that supporting their operational decisions with a consistent and cross-cutting data policy can have on their activity.
The process of adopting a data-driven strategy, however, is not usually quick, nor, in the vast majority of cases, is it easy. Once an organisation has overcome the usual resistance inherent in any major paradigm shift, it is essential to make the objectives to be achieved visible and know how to effectively manage the speed and direction set. This can only be achieved through strict control and mentoring throughout the different stages that make up the digital transformation process.
First, the organisation realises that it possesses and continuously generates new data that it could use to operate more efficiently (data stage). Then it’s time to identify the first use cases, those that are most obvious and straightforward to address, and begin to use data in production (analysis stage). The next step is to understand the benefits of this new way of making business decisions and to extend the operation to more and more processes (insight stage). Finally, when the organisation not only makes every decision based on an intelligent use of the available data, but when every member of the organisation takes ownership of this culture and acts accordingly, we reach the strategic stage. Becoming a data-driven organisation therefore requires obtaining the necessary levers to unlock the value of the data the organisation generates.
Data governance and data quality
Dos pilares esenciales en la consecución y sostenimiento del status que caracteriza a las organizaciones data-driven son los llamados data governance y data quality. Con frecuencia vemos que estos conceptos se mezclan y usan indistintamente, incluso hasta el punto de sugerir una suerte de jerarquía entre ellos. Por ejemplo, en ocasiones se plantea ‘data quality’ como un mero componente de ‘data governance’. No obstante, suTwo essential pillars in achieving and sustaining the status that characterises data-driven organisations are data governance and data quality. We often see these concepts mixed and used interchangeably, even to the point of suggesting a kind of hierarchy between them. For example, ‘data quality’ is sometimes approached as a mere component of ‘data governance’. However, their roles and responsibilities differ greatly.
Data quality refers to ensuring that all data in the organisation is complete, accurate and ready for business managers to analyse, share and convert into actionable knowledge for decision making. While data quality has always been important, its strategic value has increased proportionally as organisations have generated increasing volumes of data from a variety of sources and formats.
Data governance, however, is about creating a framework and rules according to which organisations intend to use data throughout their life cycle. The primary role is to ensure that the relevant data serves each critical business function. In one sense, data governance focuses on the “what” and the “who”, while data quality focuses on the “how”.
Purpose and strategy
As can already be guessed, these are operations with complementary functions. Data quality has one basic purpose: to organise and cleanse data to ensure that it is complete, timely and accurate for its intended purpose (i.e. actionable data). Conversely, without quality data on which to build a framework, there is no reason to have a data governance process. In other words, data governance is meaningless without a constant supply of quality data.
A sound data quality strategy should include three main components:
- Be aligned at the organisational level with business rules
== Attached: quantum chemistry results ==
A structure of composition C3H7NO2, computed with ωB97M-V with the def2-TZVPD basis set.

CARTESIAN COORDINATES (ANGSTROEM)
C1 -2.156 -0.040 -0.512
N1 -1.233 -0.066 0.589
C2 0.064 -0.020 0.521
O1 0.536 -0.046 1.725
O2 0.805 0.041 -0.570
C3 2.218 0.075 -0.334
H1 -2.693 0.915 -0.553
H2 -2.896 -0.840 -0.402
H3 -1.617 -0.181 -1.454
H4 -0.726 -0.090 1.852
H5 2.473 0.920 0.308
H6 2.683 0.183 -1.314
H7 2.542 -0.852 0.144

Energy relative to the best compared isomer or geometry (same formula, charge and spin): 2.725 eV
Kohn-Sham gap: 10.098 eV
Net charge: 0
HOMO energy: -0.33751 Ha

* * * * *

A molecular structure, C23H44CrN6O6S2Si, computed with ωB97M-V/def2-TZVPD.

```
83
Properties=species:S:1:pos:R:3:forces:R:3
Cr 0.325 -0.367 -1.725 -0.049 0.778 0.646
C 3.422 -1.196 -2.250 -0.076 0.100 0.059
O 2.471 -0.129 -2.083 0.044 -0.141 -0.007
C 2.812 1.025 -2.873 0.228 -0.347 0.080
C 1.696 1.998 -2.697 -0.490 0.023 -0.196
O 0.451 1.290 -2.936 0.119 0.083 -0.037
C 0.056 1.227 -4.325 0.058 0.051 0.230
H 4.395 -0.870 -1.888 0.054 0.032 0.021
H 3.492 -1.473 -3.304 0.005 0.000 -0.030
H 3.084 -2.035 -1.651 0.003 -0.016 -0.034
H 2.937 0.706 -3.911 -0.008 0.020 -0.075
H 3.750 1.457 -2.525 0.096 -0.044 0.072
H 1.779 2.839 -3.381 -0.038 0.038 -0.080
H 1.640 2.354 -1.675 -0.027 0.045 0.118
H -0.168 2.236 -4.660 -0.011 0.074 -0.054
H -0.841 0.620 -4.378 -0.024 -0.030 0.020
H 0.845 0.785 -4.933 0.018 -0.032 -0.039
C 3.217 -1.984 3.567 0.056 -0.061 0.167
C 2.737 -1.353 2.274 -0.149 0.281 0.074
C 2.798 -2.341 1.128 0.089 -0.143 -0.126
C 3.536 -0.095 1.962 0.142 0.062 -0.064
O 1.347 -1.034 2.465 -0.178 -0.033 -0.101
Si 0.392 0.246 2.182 0.023 0.009 0.271
S 0.363 0.922 0.136 -0.071 0.025 -0.021
O -1.104 -0.111 2.700 0.147 0.106 0.121
C -2.066 -1.140 2.462 0.248 0.030 -0.159
C -1.405 -2.319 1.763 -0.025 -0.203 -0.072
C -2.615 -1.560 3.812 -0.071 -0.044 0.171
C -3.151 -0.525 1.592 -0.117 0.023 -0.161
O 0.948 1.498 3.045 -0.029 -0.044 -0.157
C 0.583 2.886 3.223 -0.085 -0.280 -0.091
C -0.891 3.099 2.908 -0.106 0.040 -0.024
C 1.464 3.716 2.305 0.104 0.128 -0.092
C 0.874 3.193 4.678 0.011 0.110 0.204
H 4.263 -2.289 3.478 -0.072 0.010 0.007
H 2.615 -2.863 3.806 0.035 0.054 -0.014
H 3.131 -1.271 4.390 0.003 -0.041 -0.057
H 3.833 -2.621 0.910 -0.069 0.002 0.013
H 2.356 -1.884 0.241 -0.023 -0.022 0.064
H 2.233 -3.245 1.369 0.028 0.061 -0.027
H 4.597 -0.347 1.888 -0.037 0.033 -0.026
H 3.410 0.647 2.752 0.000 -0.066 -0.039
H 3.212 0.353 1.016 0.013 -0.046 0.079
H -0.577 -2.715 2.355 -0.110 0.065 -0.025
H -1.002 -2.006 0.794 -0.022 -0.024 0.019
H -2.137 -3.118 1.609 0.056 0.050 -0.038
H -1.820 -1.980 4.434 -0.052 0.040 -0.065
H -3.398 -2.314 3.692 0.055 0.067 0.010
H -3.037 -0.696 4.328 0.016 -0.055 -0.017
H -2.701 -0.102 0.686 -0.049 -0.067 0.089
H -3.650 0.285 2.130 0.029 -0.027 -0.031
H -3.903 -1.272 1.317 0.043 0.058 0.015
H -1.110 2.876 1.858 0.047 0.009 0.098
H -1.156 4.143 3.097 0.003 -0.065 -0.019
H -1.516 2.461 3.536 0.063 0.042 -0.037
H 1.280 3.458 1.259 -0.003 0.015 0.072
- Build in the right technology to ensure data quality
- Commit the necessary technical and personnel resources to maintain the defined quality standards over time
The following are examples of some of the most important data quality metrics that we can implement:
- Statistics on the number of data errors identified and/or corrected per unit of time (e.g. per week or per month)
- Accuracy and error rates in datasets or in data streams, with alerts if acceptable levels are exceeded
- Quantitative measures of completeness, consistency, integrity and timeliness
- Categorisation and estimation of the impact of data quality problems, as well as potential correction mechanisms
- Assessment of quality levels in data definition, metadata and data catalogues
- End-user feedback on perceived data quality
Institutional movements
Recently, the Data Office, under the Secretary of State for Digitalisation and Artificial Intelligence, has promoted and participated in the generation of the national specification UNE 0080:2023 called “Evaluation Guide for Data Governance, Management and Quality Management”, which responds to the need of both public and private organisations to have standardised mechanisms for the evaluation of their processes in terms of data governance, management and quality. The document is based, in turn, on the definition of processes contained in the specifications for Data Governance UNE 0077:2023, Data Management UNE 0078:2023, and Data Quality Management UNE 0079:2023.
This new specification is aimed at those responsible for implementing and monitoring data governance, data management and data quality management processes in their respective organisations, so as to ensure that they are functioning well or, if necessary, are able to implement or improve them, as well as at consultants and auditors who need to carry out an assessment of these processes.
Strengthening companies’ digitisation processes
From Gradiant we accompany the companies in our environment and help them to strengthen their digitisation processes with data orientation considering both axes: data governance and data quality.
On the one hand, we design and provide technologies to assess data quality by identifying problems and errors before they propagate to analytical processing and/or artificial intelligence applications.
### The text is interrupted by data records
-- begin --
DFT (ωB97M-V with the def2-TZVPD basis set) results for C41H78GeN3O3PSSi3Ti as an isolated structure.

The geometry in XYZ format:
```
132
C41H78GeN3O3PSSi3Ti (ωB97M-V with the def2-TZVPD basis set)
Ti 0.79 0.63 0.30
N -0.60 -0.06 1.86
N -0.07 0.38 3.09
C 1.32 0.55 3.15
O 1.89 0.51 4.22
O 1.87 0.77 1.98
H -1.49 0.39 1.64
H -0.73 -1.07 1.86
H -0.50 0.02 3.93
C -0.14 -5.03 3.01
C 0.64 -3.76 3.36
C -0.23 -2.81 4.19
C 1.21 -3.06 2.15
C 0.58 -3.07 0.91
C 1.11 -2.46 -0.22
C 0.40 -2.79 -1.53
C 0.87 -4.15 -2.06
C -1.12 -2.88 -1.36
C 2.33 -1.73 -0.12
C 3.02 -1.82 1.11
C 2.43 -2.42 2.22
C 4.49 -1.48 1.24
C 4.86 -0.85 2.59
C 5.31 -2.76 1.03
C 3.13 -1.30 -1.35
C 3.71 -2.39 -2.00
C 4.52 -2.26 -3.12
C 4.79 -1.00 -3.62
C 4.24 0.09 -2.97
C 3.42 0.00 -1.84
P 2.80 1.61 -1.15
C 4.30 2.50 -0.41
C 3.83 3.91 -0.02
C 5.56 2.57 -1.29
C 4.72 1.80 0.88
C 2.24 2.65 -2.64
C 3.28 3.50 -3.38
C 1.58 1.74 -3.69
C 1.14 3.59 -2.11
H -0.34 -5.60 3.91
H 0.42 -5.66 2.32
H -1.10 -4.79 2.55
H 1.50 -4.04 3.98
H -1.07 -2.44 3.61
H 0.36 -1.97 4.56
H -0.64 -3.34 5.06
H -0.35 -3.62 0.81
H 0.65 -2.03 -2.27
H 0.59 -4.94 -1.36
H 1.95 -4.21 -2.21
H 0.38 -4.36 -3.02
H -1.53 -2.11 -0.71
H -1.40 -3.86 -0.94
H -1.61 -2.81 -2.33
H 2.98 -2.44 3.15
H 4.75 -0.80 0.43
H 5.00 -1.63 3.35
H 4.10 -0.16 2.95
H 5.81 -0.32 2.51
H 5.03 -3.51 1.77
H 6.37 -2.54 1.15
H 5.16 -3.18 0.04
H 3.54 -3.37 -1.59
H 4.94 -3.15 -3.58
H 5.41 -0.87 -4.49
H 4.47 1.07 -3.36
H 3.59 4.55 -0.86
H 4.63 4.39 0.54
H 2.96 3.87 0.64
H 5.44 3.17 -2.19
H 5.90 1.57 -1.57
H 6.35 3.03 -0.69
H 3.88 1.50 1.49
H 5.33 2.50 1.47
H 5.35 0.94 0.66
H 4.06 2.91 -3.87
H 3.76 4.24 -2.75
H 2.75 4.04 -4.17
H 2.23 0.95 -4.06
H 1.28 2.36 -4.54
H 0.69 1.28 -3.29
H 1.49 4.26 -1.32
H 0.31 3.02 -1.70
H 0.78 4.20 -2.94
S 0.58 4.93 2.03
C 0.26 3.53 1.29
N 0.00 2.53 0.72
C -3.82 4.00 1.29
Si -4.16 2.21 1.79
C -3.09 1.89 3.32
C -5.94 2.21 2.47
Ge -3.53 0.67 0.07
Si -4.83 -1.25 0.63
C -6.67 -1.17 1.07
C -4.74 -2.58 -0.74
C -4.00 -2.08 2.13
Si -4.77 1.51 -1.79
C -4.32 3.30 -2.20
C -4.41 0.55 -3.39
C -6.67 1.48 -1.66
H -3.73 4.63 2.18
H -4.64 4.39 0.68
H -2.90 4.09 0.71
H -3.36 2.57 4.14
H -2.03 2.05 3.11
H -3.22 0.86 3.69
H -6.08 3.07 3.13
H -6.14 1.31 3.05
H -6.68 2.27 1.68
H -7.28 -1.03 0.18
H -6.90 -0.35 1.75
H -6.98 -2.11 1.55
H -4.57 -2.15 -1.73
H -5.67 -3.15 -0.79
H -3.93 -3.28 -0.55
H -3.96 -1.40 2.99
H -2.97 -2.36 1.88
H -4.53 -2.99 2.44
H -3.26 3.51 -2.01
H -4.90 4.00 -1.61
H -4.51 3.51 -3.26
H -3.49 0.89 -3.86
H -5.22 0.71 -4.11
H -4.32 -0.53 -3.23
H -7.01 1.91 -0.71
H -7.04 0.46 -1.72
H -7.12 2.06 -2.48
C -1.05 0.21 -2.26
O -0.09 0.38 -1.27
H -1.43 1.18 -2.58
H -1.91 -0.33 -1.88
H -0.64 -0.32 -3.13
```

2S+1: 2
Maximum force: 1.21 eV Å⁻¹
<S²>: 0.7532
Total charge: -1
Frontier orbital gap (spin up / spin down): 5.6 / 5.6 eV
M: 928.9 u
HOMO (spin up / spin down): -0.13061 / -0.13063 Eh

=====

Record 1
DFT (ωB97M-V with the def2-TZVPD basis set) results for C29H36FeN5O5PS2 as an isolated structure at a distorted geometry.

The geometry in XYZ format:
```
-- stop --
### The text goes on
On the other hand, we provide advice on the implementation of internal standards and data management policies, so that the processes of acquisition, storage, exploitation and disposal of data are properly defined, identifying the roles and levels of access appropriate to each scenario, in line with your business strategy.
Author: Rafael Martínez, Technical Manager of Big Data Analytics at Gradiant